/*
Entry 1:
Density functional theory data (PBE-GGA) for an optimized crystal structure of SrRe2Ir.

POSCAR file:
```
SrRe2Ir
1.0
2.877 0.000 0.000
0.000 4.832 0.000
0.000 0.000 5.128
Sr Re Ir
1 2 1
Direct
0.000 0.000 0.000 Sr
0.000 0.500 0.500 Re
0.500 0.000 0.500 Re
0.500 0.500 0.000 Ir
```

Values from the calculation:
D(E_F) = 1.0235 states/eV/atom
energy relative to the elements = 0.91 eV per atom
spin magnetization = 0.00 μB/f.u.
crystal system = orthorhombic
relative energy among the computed polymorphs = 469 meV/atom

Entry 2:
Density functional theory data (PBE-GGA) for an optimized crystal structure of Ag3GeCl2F6.

POSCAR file:
```
Ag3GeCl2F6
1.0
6.358 -3.263 0.000
6.358 3.263 0.000
-0.056 0.000 4.997
Ag Ge Cl F
3 1 2 6
Direct
0.000 0.000 0.000 Ag
0.000 0.500 0.500 Ag
0.500 0.000 0.500 Ag
0.500 0.500 0.500 Ge
0.185 0.185 0.163 Cl
0.815 0.815 0.837 Cl
0.234 0.639 0.296 F
0.361 0.766 0.704 F
0.384 0.384 0.714 F
0.616 0.616 0.286 F
0.639 0.234 0.296 F
0.766 0.361 0.704 F
```

Values from the calculation:
D(E_F) = 0.7173 states/eV/atom
spin magnetization = 0.00 μB/f.u.
formation energy without anion corrections = -1.476 eV/atom
crystal system = monoclinic

Entry 3:
Density functional theory data (PBE-GGA) for an optimized crystal structure of Ac3RuI.

POSCAR file:
```
Ac3RuI
1.0
4.415 0.000 0.000
0.000 7.677 0.000
0.000 0.000 10.872
Ac Ru I
6 2 2
Direct
0.250 0.000 0.142 Ac
0.250 0.250 0.612 Ac
0.250 0.500 0.142 Ac
0.750 0.000 0.858 Ac
0.750 0.500 0.858 Ac
0.750 0.750 0.388 Ac
0.250 0.250 0.898 Ru
0.750 0.750 0.102 Ru
0.250 0.750 0.647 I
0.750 0.250 0.353 I
```

Values from the calculation:
D(E_F) = 0.8934 states/eV/atom
spin magnetization = 0.00 μB/f.u.
formation energy without anion corrections = -0.462 eV/atom
crystal system = orthorhombic
relative energy among the computed polymorphs = 5 meV/atom

Entry 4:
Density functional theory data (PBE-GGA) for an optimized crystal structure of Sr3La2NdTe6.

POSCAR file:
```
Sr3La2NdTe6
1.0
10.172 -2.300 0.000
10.172 2.300 0.000
-2.378 0.000 9.034
Sr La Nd Te
3 2 1 6
Direct
0.000 0.000 0.000 Sr
0.333 0.333 0.667 Sr
0.667 0.667 0.333 Sr
0.335 0.335 0.171 La
0.665 0.665 0.829 La
0.000 0.000 0.500 Nd
0.164 0.164 0.584 Te
0.168 0.168 0.079 Te
0.500 0.500 0.256 Te
0.500 0.500 0.744 Te
0.832 0.832 0.921 Te
0.836 0.836 0.416 Te
```

Values from the calculation:
D(E_F) = 0.4815 states/eV/atom
spin magnetization = 0.00 μB/f.u.
formation energy without anion corrections = -1.606 eV/atom
crystal system = monoclinic

Entry 5:
Density functional theory data (PBE-GGA) for an optimized crystal structure of Li2YPPb.

POSCAR file:
```
Li2YPPb
1.0
4.697 0.000 0.000
0.000 4.697 0.000
0.000 0.000 5.402
Li Y P Pb
2 1 1 1
Direct
0.000 0.500 0.000 Li
0.500 0.000 0.000 Li
0.000 0.000 0.500 Y
0.000 0.000 0.000 P
0.500 0.500 0.500 Pb
```

Values from the calculation:
D(E_F) = 0.5647 states/eV/atom
energy relative to the elements = -0.55 eV per atom
spin magnetization = 0.00 μB/f.u.
crystal system = tetragonal

Entry 6:
Density functional theory data (PBE-GGA) for an optimized crystal structure of BeC2.

POSCAR file:
```
BeC2
1.0
4.820 0.000 0.000
-2.410 4.174 0.000
0.000 0.000 4.027
Be C
3 6
Direct
0.000 0.000 0.000 Be
0.333 0.667 0.500 Be
0.667 0.333 0.500 Be
0.000 0.251 0.385 C
0.000 0.749 0.615 C
0.251 0.000 0.385 C
0.251 0.251 0.615 C
0.749 0.000 0.615 C
0.749 0.749 0.385 C
```

Values from the calculation:
D(E_F) = 0.2587 states/eV/atom
energy relative to the elements = 1.20 eV per atom
spin magnetization = 0.00 μB/f.u.
crystal system = trigonal
relative energy among the computed polymorphs = 811 meV/atom


The following is a PBE-GGA calculation of a geometry-optimized MgPW2 structure, from the Alexandria database.

CIF file:
```
data_MgPW2
_cell_length_a 4.201
_cell_length_b 4.201
_cell_length_c 3.435
_cell_angle_alpha 90.00
_cell_angle_beta 90.00
_cell_angle_gamma 98.12
_symmetry_space_group_name_H-M 'P 1'
_symmetry_Int_Tables_number 1
loop_
_symmetry_equiv_pos_as_xyz
'x,y,z'
loop_
_atom_site_label
*/
Return the whole of the listing further up verbatim, please.
Entry 1:
Density functional theory data (PBE-GGA) for an optimized crystal structure of SrRe2Ir.

POSCAR file:
```
SrRe2Ir
1.0
2.877 0.000 0.000
0.000 4.832 0.000
0.000 0.000 5.128
Sr Re Ir
1 2 1
Direct
0.000 0.000 0.000 Sr
0.000 0.500 0.500 Re
0.500 0.000 0.500 Re
0.500 0.500 0.000 Ir
```

Values from the calculation:
D(E_F) = 1.0235 states/eV/atom
energy relative to the elements = 0.91 eV per atom
spin magnetization = 0.00 μB/f.u.
crystal system = orthorhombic
relative energy among the computed polymorphs = 469 meV/atom

Entry 2:
Density functional theory data (PBE-GGA) for an optimized crystal structure of Ag3GeCl2F6.

POSCAR file:
```
Ag3GeCl2F6
1.0
6.358 -3.263 0.000
6.358 3.263 0.000
-0.056 0.000 4.997
Ag Ge Cl F
3 1 2 6
Direct
0.000 0.000 0.000 Ag
0.000 0.500 0.500 Ag
0.500 0.000 0.500 Ag
0.500 0.500 0.500 Ge
0.185 0.185 0.163 Cl
0.815 0.815 0.837 Cl
0.234 0.639 0.296 F
0.361 0.766 0.704 F
0.384 0.384 0.714 F
0.616 0.616 0.286 F
0.639 0.234 0.296 F
0.766 0.361 0.704 F
```

Values from the calculation:
D(E_F) = 0.7173 states/eV/atom
spin magnetization = 0.00 μB/f.u.
formation energy without anion corrections = -1.476 eV/atom
crystal system = monoclinic

Entry 3:
Density functional theory data (PBE-GGA) for an optimized crystal structure of Ac3RuI.

POSCAR file:
```
Ac3RuI
1.0
4.415 0.000 0.000
0.000 7.677 0.000
0.000 0.000 10.872
Ac Ru I
6 2 2
Direct
0.250 0.000 0.142 Ac
0.250 0.250 0.612 Ac
0.250 0.500 0.142 Ac
0.750 0.000 0.858 Ac
0.750 0.500 0.858 Ac
0.750 0.750 0.388 Ac
0.250 0.250 0.898 Ru
0.750 0.750 0.102 Ru
0.250 0.750 0.647 I
0.750 0.250 0.353 I
```

Values from the calculation:
D(E_F) = 0.8934 states/eV/atom
spin magnetization = 0.00 μB/f.u.
formation energy without anion corrections = -0.462 eV/atom
crystal system = orthorhombic
relative energy among the computed polymorphs = 5 meV/atom

Entry 4:
Density functional theory data (PBE-GGA) for an optimized crystal structure of Sr3La2NdTe6.

POSCAR file:
```
Sr3La2NdTe6
1.0
10.172 -2.300 0.000
10.172 2.300 0.000
-2.378 0.000 9.034
Sr La Nd Te
3 2 1 6
Direct
0.000 0.000 0.000 Sr
0.333 0.333 0.667 Sr
0.667 0.667 0.333 Sr
0.335 0.335 0.171 La
0.665 0.665 0.829 La
0.000 0.000 0.500 Nd
0.164 0.164 0.584 Te
0.168 0.168 0.079 Te
0.500 0.500 0.256 Te
0.500 0.500 0.744 Te
0.832 0.832 0.921 Te
0.836 0.836 0.416 Te
```

Values from the calculation:
D(E_F) = 0.4815 states/eV/atom
spin magnetization = 0.00 μB/f.u.
formation energy without anion corrections = -1.606 eV/atom
crystal system = monoclinic

Entry 5:
Density functional theory data (PBE-GGA) for an optimized crystal structure of Li2YPPb.

POSCAR file:
```
Li2YPPb
1.0
4.697 0.000 0.000
0.000 4.697 0.000
0.000 0.000 5.402
Li Y P Pb
2 1 1 1
Direct
0.000 0.500 0.000 Li
0.500 0.000 0.000 Li
0.000 0.000 0.500 Y
0.000 0.000 0.000 P
0.500 0.500 0.500 Pb
```

Values from the calculation:
D(E_F) = 0.5647 states/eV/atom
energy relative to the elements = -0.55 eV per atom
spin magnetization = 0.00 μB/f.u.
crystal system = tetragonal

Entry 6:
Density functional theory data (PBE-GGA) for an optimized crystal structure of BeC2.

POSCAR file:
```
BeC2
1.0
4.820 0.000 0.000
-2.410 4.174 0.000
0.000 0.000 4.027
Be C
3 6
Direct
0.000 0.000 0.000 Be
0.333 0.667 0.500 Be
0.667 0.333 0.500 Be
0.000 0.251 0.385 C
0.000 0.749 0.615 C
0.251 0.000 0.385 C
0.251 0.251 0.615 C
0.749 0.000 0.615 C
0.749 0.749 0.385 C
```

Values from the calculation:
D(E_F) = 0.2587 states/eV/atom
energy relative to the elements = 1.20 eV per atom
spin magnetization = 0.00 μB/f.u.
crystal system = trigonal
relative energy among the computed polymorphs = 811 meV/atom


The following is a PBE-GGA calculation of a geometry-optimized MgPW2 structure, from the Alexandria database.

CIF file:
```
data_MgPW2
_cell_length_a 4.201
_cell_length_b 4.201
_cell_length_c 3.435
_cell_angle_alpha 90.00
_cell_angle_beta 90.00
_cell_angle_gamma 98.12
_symmetry_space_group_name_H-M 'P 1'
_symmetry_Int_Tables_number 1
loop_
_symmetry_equiv_pos_as_xyz
'x,y,z'
loop_
_atom_site_label